Urine Therapy
The Benefits of Urine Therapy – Global Healing
Thousands of medicines are available in the market for various diseases. Every medicine has an individual effect on body organs & its various systems. Stomach medications cannot be put in eyes. Eye medicine is not used for the ear & ear medicine is not suitable for the mouth. But Urine is the only medicine prep
== These calculated crystals were left in the piece by mistake ==
'''
The following is a computed X-ray powder pattern of Co4SnN4. It was derived from the GGA-PBE geometry in Alexandria, using a wavelength of 1.5418 Å.

Most intense lines, 2θ = 10–90°, sorted by position:
2θ/deg	Rel. int.
26.88	100
27.56	17
34.35	18
34.59	13
38.04	50
41.05	42
41.52	17
41.79	26
42.11	32
47.09	35
47.72	14
52.37	28

Cell and atoms:
abc: 5.423 5.561 7.278
angles: 94.98 103.53 104.65
Space group P-1 (No. 2)
Unique sites:
Co 0.109 0.367 0.435 [2 per cell]
Co 0.169 0.431 0.097 [2 per cell]
Co 0.192 0.935 0.106 [2 per cell]
Co 0.386 0.705 0.740 [2 per cell]
Sn 0.381 0.196 0.707 [2 per cell]
N 0.171 0.162 0.929 [2 per cell]
N 0.204 0.712 0.501 [2 per cell]
N 0.205 0.669 0.929 [2 per cell]
N 0.280 0.229 0.290 [2 per cell]

***

The following is a computed X-ray powder pattern of AcBiAuO4. It was derived from the GGA-PBE geometry in Alexandria, using a wavelength of 1.5418 Å.

Most intense lines, 2θ = 10–90°, sorted by position:
2θ/deg	Rel. int.
26.97	74
28.20	100
28.54	81
28.71	48
30.88	36
39.80	57
46.33	20
47.47	20
48.41	24
48.63	19
55.44	21
56.33	26

Cell and atoms:
abc: 6.611 10.648 7.661
angles: 90.00 90.00 90.00
Space group Cmcm (No. 63)
Unique sites:
Ac 0.000 0.000 0.000 [4 per cell]
Bi 0.000 0.357 0.250 [4 per cell]
Au 0.000 0.277 0.750 [4 per cell]
O 0.000 0.240 0.011 [8 per cell]
O 0.249 0.014 0.750 [8 per cell]


Structure and calculated powder X-ray diffraction pattern of LiTm2Ga9 (a DFT-relaxed cell (PBE, Alexandria); Cu Kα).
Lines closer than 0.1° are merged.

Crystal structure
abc: 4.203 4.203 12.448
angles: 90.00 90.00 90.00
Element x y z (fractional)
Li 0.000 0.000 0.000
Tm 0.000 0.000 0.325
Tm 0.000 0.000 0.675
Ga 0.000 0.500 0.151
Ga 0.000 0.500 0.500
Ga 0.000 0.500 0.849
Ga 0.500 0.000 0.151
Ga 0.500 0.000 0.500
Ga 0.500 0.000 0.849
Ga 0.500 0.500 0.000
Ga 0.500 0.500 0.335
Ga 0.500 0.500 0.665

Most intense lines, 2θ from 10° to 80°, most intense first:
37.2°, intensity 100
43.0°, intensity 34
75.0°, intensity 25
63.0°, intensity 19
43.6°, intensity 15
62.5°, intensity 11
25.6°, intensity 10
79.3°, intensity 10
75.9°, intensity 9
22.3°, intensity 8



Structure and calculated powder X-ray diffraction pattern of TbY2Sc4 (a DFT-relaxed cell (PBE, Alexandria); Cu Kα).
Lines closer than 0.1° are merged.

Crystal structure
abc: 6.525 8.442 8.517
angles: 115.78 102.87 101.77
Element x y z (fractional)
Tb 0.000 0.000 0.000
Tb 0.250 0.841 0.632
Y 0.247 0.263 0.843
Y 0.501 0.718 0.151
Y 0.743 0.492 0.378
Y 0.781 0.336 0.938
Sc 0.035 0.792 0.233
Sc 0.056 0.588 0.800
Sc 0.228 0.454 0.296
Sc 0.469 0.167 0.470
Sc 0.525 0.044 0.070
Sc 0.547 0.610 0.745
Sc 0.738 0.921 0.588
Sc 0.959 0.192 0.432

Most intense lines, 2θ from 10° to 80°, most intense first:
33.1°, intensity 100
33.0°, intensity 37
32.3°, intensity 28
12.3°, intensity 25
35.0°, intensity 22
33.4°, intensity 21
32.6°, intensity 20
22.5°, intensity 20
30.5°, intensity 11
36.4°, intensity 10
'''
== Back to the piece ==
Urine therapy in Ayurveda Ancient insights to modern discoveries for cancer regression - PMC
Investigation of spontaneous regressions (SR) of cancer may explain host mechanisms of control by anticancer substance (A.C.S.). Documented human SR, of bladder cancer after uretero-sigmoidostomy and of uterine leiomyosarcoma after irreparable vesico-vaginal ...
Urine Therapy Martha Christy, author of 'Your Own Perfect Medicine' - YouTube
Narrated by I.P. Freely. Martha Christy has by far been the biggest driving force in the incredibly difficult task of teaching people about the subject of urine therapy, but as a living testament of what this therapy is capable of Martha has literally dedicated her life to passing this very important knowledge along in hopes of it getting to the right people who are in need of it the most. You can find her book for free in PDF form on the internet, or can buy her book for fairly cheap on eBay or Amazon, but be sure to find the edition that has the scientific case studies on urine and urea as that's the longer edition that's more worth getting. Though her book alone should be enough to at least sway your opinion about the matter you should also search far and wide for all the information you can on the subject if you are really wanting to find out the full story and fully quench your thirst for this knowledge, and you'll learn how and why this information is being suppressed from being general knowledge, and why you went however many years of life without ever even hearing about it. The fact that this therapy works as well as it's being touted still baffles me every day as I've looked deep into the psychological factors at work here, and so I fully understand how weird this can be for some people. Let's just put names, feelings, and beliefs aside and get to the bottom of this so that our future can have many more stories of people recovering their failing health and finally living a pain free life full of hope instead of the inevitable dread of knowing that they will be dying in pain while having very limited time left here. Time to get past our childish misconceptions and at least give this therapy a chance because those folks deserve much better than what is currently being offered to them. It's an option that one doesn't even have to take if they absolutely don't want to, but it should at least be an option for them, and if doctors finally offer urine injections and recommend them to their patients and inform them that they work who is going to turn that down compared to the deadly alternatives? I can understand people not being able to cope with drinking it, but when it comes to something that works people will go with the best option that is recommended by someone they trust (and as we know most people trust doctors a lot).